-- Wanted --
Start at the top of the listing further below and transcribe each line, ending with the one that has "-2.904 -0.199".

-- Excerpt --
(1)
This record from the Open Molecules 2025 dataset describes a 2-piece molecular cluster, C14H16 overall in a non-equilibrium geometry. The level of theory is ωB97M-V with the def2-TZVPD basis set.

The geometry in XYZ format:
```
30
C14H16 | the Open Molecules 2025 dataset | ωB97M-V with the def2-TZVPD basis set
C 0.725 -0.780 3.584
C 3.041 -0.367 2.396
C 1.644 -0.124 2.470
C 3.725 0.460 1.531
C 3.140 1.575 0.888
C 0.962 0.746 1.599
C 1.791 1.641 0.964
H 3.619 -0.987 3.071
H 4.777 0.337 1.348
H 1.427 -1.510 4.173
H -0.058 -1.511 3.267
H 3.805 2.317 0.464
H -0.128 0.903 1.869
H 1.267 2.407 0.358
H 0.374 -0.019 4.221
C -4.468 -0.499 -2.353
C -0.252 -0.267 -1.855
C -1.027 0.699 -1.289
C -0.830 -1.387 -2.452
C -2.385 0.541 -1.394
C -2.166 -1.481 -2.505
C -3.074 -0.596 -1.926
H 0.838 -0.167 -1.856
H -0.606 1.688 -0.848
H -0.194 -2.132 -2.905
H -3.098 1.313 -0.940
H -2.623 -2.385 -2.752
H -5.023 0.100 -1.604
H -5.099 -1.381 -2.424
H -4.239 0.063 -3.381
```

Calculated values
F_max: 0.087 hartree/bohr
molar mass: 184.28 g/mol
frontier orbital gap: 9.7 eV
net charge: 0
SMILES: Cc1ccccc1.Cc1ccccc1
energy relative to the best compared isomer or geometry (same formula, charge and spin): 229.8 kJ/mol
2S+1: 1
HOMO level: -0.320 hartree
LUMO: 0.94 eV

(2)
This record from the Open Molecules 2025 dataset describes C40H62AuClGeN4P3 as an isolated structure in a non-equilibrium geometry. The level of theory is ωB97M-V with the def2-TZVPD basis set.

The geometry in XYZ format:
```
112
C40H62AuClGeN4P3 | the Open Molecules 2025 dataset | ωB97M-V with the def2-TZVPD basis set
Au 0.813 2.328 0.624
C 4.506 3.233 0.467
C 4.566 1.855 -0.195
C 4.645 1.998 -1.715
P 3.146 0.848 0.477
C 3.385 -0.833 -0.292
N 2.182 -1.631 -0.329
Ge 0.216 -0.767 0.418
N -0.789 -0.706 -1.244
C -1.127 0.511 -1.942
P -0.020 1.934 -1.568
C 1.275 1.866 -2.899
C 1.664 0.418 -3.205
C 0.943 2.602 -4.195
C -1.157 3.376 -1.819
C -1.998 3.417 -3.096
C -0.406 4.692 -1.584
C -1.123 -1.909 -1.814
C -1.865 -2.047 -2.999
C -2.001 -3.280 -3.606
C -1.395 -4.409 -3.069
C -0.736 -4.307 -1.858
C -0.659 -3.087 -1.203
N -0.146 -2.960 0.183
C 1.129 -3.663 0.318
C 1.280 -4.943 0.812
C 2.511 -5.594 0.766
C 3.622 -4.957 0.219
C 3.526 -3.647 -0.175
C 2.295 -2.947 -0.093
C -1.213 -3.359 1.115
C -1.753 -4.630 1.163
C -2.664 -4.985 2.152
C -3.060 -4.053 3.113
C -2.639 -2.753 3.014
C -1.763 -2.353 1.970
N -1.463 -1.087 1.676
C -2.029 0.048 2.343
P -2.515 1.320 1.048
C -3.544 2.524 2.058
C -2.821 2.887 3.355
C -4.988 2.134 2.370
C -3.658 0.279 -0.011
C -4.651 -0.666 0.667
C -4.335 1.175 -1.053
C 3.687 0.564 2.235
C 2.883 -0.555 2.899
C 5.187 0.299 2.392
H 5.316 3.863 0.098
H 3.559 3.723 0.227
H 4.598 3.175 1.552
H 5.460 1.323 0.139
H 3.943 2.746 -2.079
H 5.645 2.341 -1.980
H 4.475 1.063 -2.249
H 3.763 -0.671 -1.306
H 4.176 -1.313 0.292
H -1.072 0.371 -3.026
H -2.145 0.841 -1.702
H 2.123 2.362 -2.425
H 0.932 -0.052 -3.864
H 2.624 0.404 -3.725
H 1.741 -0.188 -2.304
H 0.039 2.211 -4.662
H 0.827 3.673 -4.046
H 1.765 2.458 -4.899
H -1.833 3.229 -0.968
H -1.455 3.869 -3.922
H -2.343 2.430 -3.407
H -2.881 4.031 -2.914
H 0.326 4.889 -2.367
H -1.109 5.526 -1.573
H 0.122 4.686 -0.626
H -2.338 -1.186 -3.451
H -2.573 -3.367 -4.521
H -1.455 -5.363 -3.574
H -0.273 -5.188 -1.431
H 0.452 -5.473 1.251
H 2.590 -6.607 1.133
H 4.561 -5.487 0.127
H 4.389 -3.145 -0.591
H -1.492 -5.368 0.423
H -3.047 -5.996 2.182
H -3.722 -4.351 3.915
H -2.991 -2.025 3.730
H -2.904 -0.199 2.945
H -1.279 0.538 2.975
H -3.559 3.413 1.421
H -2.916 2.089 4.094
H -1.764 3.087 3.196
H -3.268 3.784 3.783
H -5.033 1.244 3.000
H -5.454 2.949 2.927
H -5.585 1.972 1.476
H -2.937 -0.366 -0.528
H -5.403 -0.145 1.252
H -5.175 -1.224 -0.112
H -4.149 -1.393 1.306
H -5.167 1.732 -0.622
H -3.640 1.905 -1.478
H -4.736 0.573 -1.870
H 3.442 1.501 2.734
H 3.127 -1.530 2.464
H 3.129 -0.592 3.960
H 1.811 -0.389 2.812
H 5.548 -0.477 1.713
H 5.789 1.194 2.248
H 5.374 -0.052 3.408
Cl 1.214 2.035 3.863
C 1.237 3.170 2.501
H 2.206 3.663 2.503
H 0.454 3.905 2.683
```

-- Reply --
(1)
This record from the Open Molecules 2025 dataset describes a 2-piece molecular cluster, C14H16 overall in a non-equilibrium geometry. The level of theory is ωB97M-V with the def2-TZVPD basis set.

The geometry in XYZ format:
```
30
C14H16 | the Open Molecules 2025 dataset | ωB97M-V with the def2-TZVPD basis set
C 0.725 -0.780 3.584
C 3.041 -0.367 2.396
C 1.644 -0.124 2.470
C 3.725 0.460 1.531
C 3.140 1.575 0.888
C 0.962 0.746 1.599
C 1.791 1.641 0.964
H 3.619 -0.987 3.071
H 4.777 0.337 1.348
H 1.427 -1.510 4.173
H -0.058 -1.511 3.267
H 3.805 2.317 0.464
H -0.128 0.903 1.869
H 1.267 2.407 0.358
H 0.374 -0.019 4.221
C -4.468 -0.499 -2.353
C -0.252 -0.267 -1.855
C -1.027 0.699 -1.289
C -0.830 -1.387 -2.452
C -2.385 0.541 -1.394
C -2.166 -1.481 -2.505
C -3.074 -0.596 -1.926
H 0.838 -0.167 -1.856
H -0.606 1.688 -0.848
H -0.194 -2.132 -2.905
H -3.098 1.313 -0.940
H -2.623 -2.385 -2.752
H -5.023 0.100 -1.604
H -5.099 -1.381 -2.424
H -4.239 0.063 -3.381
```

Calculated values
F_max: 0.087 hartree/bohr
molar mass: 184.28 g/mol
frontier orbital gap: 9.7 eV
net charge: 0
SMILES: Cc1ccccc1.Cc1ccccc1
energy relative to the best compared isomer or geometry (same formula, charge and spin): 229.8 kJ/mol
2S+1: 1
HOMO level: -0.320 hartree
LUMO: 0.94 eV

(2)
This record from the Open Molecules 2025 dataset describes C40H62AuClGeN4P3 as an isolated structure in a non-equilibrium geometry. The level of theory is ωB97M-V with the def2-TZVPD basis set.

The geometry in XYZ format:
```
112
C40H62AuClGeN4P3 | the Open Molecules 2025 dataset | ωB97M-V with the def2-TZVPD basis set
Au 0.813 2.328 0.624
C 4.506 3.233 0.467
C 4.566 1.855 -0.195
C 4.645 1.998 -1.715
P 3.146 0.848 0.477
C 3.385 -0.833 -0.292
N 2.182 -1.631 -0.329
Ge 0.216 -0.767 0.418
N -0.789 -0.706 -1.244
C -1.127 0.511 -1.942
P -0.020 1.934 -1.568
C 1.275 1.866 -2.899
C 1.664 0.418 -3.205
C 0.943 2.602 -4.195
C -1.157 3.376 -1.819
C -1.998 3.417 -3.096
C -0.406 4.692 -1.584
C -1.123 -1.909 -1.814
C -1.865 -2.047 -2.999
C -2.001 -3.280 -3.606
C -1.395 -4.409 -3.069
C -0.736 -4.307 -1.858
C -0.659 -3.087 -1.203
N -0.146 -2.960 0.183
C 1.129 -3.663 0.318
C 1.280 -4.943 0.812
C 2.511 -5.594 0.766
C 3.622 -4.957 0.219
C 3.526 -3.647 -0.175
C 2.295 -2.947 -0.093
C -1.213 -3.359 1.115
C -1.753 -4.630 1.163
C -2.664 -4.985 2.152
C -3.060 -4.053 3.113
C -2.639 -2.753 3.014
C -1.763 -2.353 1.970
N -1.463 -1.087 1.676
C -2.029 0.048 2.343
P -2.515 1.320 1.048
C -3.544 2.524 2.058
C -2.821 2.887 3.355
C -4.988 2.134 2.370
C -3.658 0.279 -0.011
C -4.651 -0.666 0.667
C -4.335 1.175 -1.053
C 3.687 0.564 2.235
C 2.883 -0.555 2.899
C 5.187 0.299 2.392
H 5.316 3.863 0.098
H 3.559 3.723 0.227
H 4.598 3.175 1.552
H 5.460 1.323 0.139
H 3.943 2.746 -2.079
H 5.645 2.341 -1.980
H 4.475 1.063 -2.249
H 3.763 -0.671 -1.306
H 4.176 -1.313 0.292
H -1.072 0.371 -3.026
H -2.145 0.841 -1.702
H 2.123 2.362 -2.425
H 0.932 -0.052 -3.864
H 2.624 0.404 -3.725
H 1.741 -0.188 -2.304
H 0.039 2.211 -4.662
H 0.827 3.673 -4.046
H 1.765 2.458 -4.899
H -1.833 3.229 -0.968
H -1.455 3.869 -3.922
H -2.343 2.430 -3.407
H -2.881 4.031 -2.914
H 0.326 4.889 -2.367
H -1.109 5.526 -1.573
H 0.122 4.686 -0.626
H -2.338 -1.186 -3.451
H -2.573 -3.367 -4.521
H -1.455 -5.363 -3.574
H -0.273 -5.188 -1.431
H 0.452 -5.473 1.251
H 2.590 -6.607 1.133
H 4.561 -5.487 0.127
H 4.389 -3.145 -0.591
H -1.492 -5.368 0.423
H -3.047 -5.996 2.182
H -3.722 -4.351 3.915
H -2.991 -2.025 3.730
H -2.904 -0.199 2.945